No Place for Eritreans

By 2015, the UN estimated that 5,000 Eritreans were leaving their homeland every month. Eritreans trying to escape their repressive country are well aware of the perilous journey in front of them, facing obstacles at every step. It is only when—to borrow poet Abdellatif Laâbi's line—the fear of living replaces the fear of dying, that they decide to go.
Nobody has high hopes for a regime that has been accused of committing "crimes against humanity." However, what's both startling and troubling is the complicity of the international community in these crimes—the African Union, European Union, Intergovernmental Authority on Development (IGAD) and other UN organizations. They are guilty of everything from ineffectual silence to outright collaboration.
Despite the fact that Eritrea is among the signatories of the Universal Declaration of Human Rights (1948), most of the Declaration's articles are routinely ignored in today's Eritrea.
Freedom of movement in the country is tightly controlled through required pass-papers, countless checkpoints, and frequent military round-ups. After the age of six, Eritreans can't travel out of the country legally except under extraordinary circumstances. Leaving with permission involves a convoluted process controlled by the Office of the President; this includes all government employees up to the level of ministers.
Yet, it is relatively easy for married women to leave the country. As a result, in the last few years many young Eritrean women have settled in Uganda and other African countries, mainly because they don't dare to risk staying behind until their children reach the crucial age of six. Their husbands must find ways to join them later, taking all kinds of risks and paying high amounts of money to smugglers. To cross the tightly secured border illegally, some pay as high as $6,000 to be smuggled out of the country, to cross overland into the Sudan and Ethiopia or to sail to Yemen. Yet this high price does not guarantee safety.
Once Eritreans are smuggled to a neighboring country, if they wish to continue their journey legally, they have only one option: they must report to the Eritrean embassy and request a passport. Before granting the passport, the embassy asks the Eritrean citizens to fill out an "apology" form and agree to pay 2 percent of their income. This extortion begins a vicious cycle, and helps fund the Asmara regime. Even more insidious, the passport becomes an effective means of control and silencing potential dissident voices. Speak against the regime and risk losing your passport.
# Attached: records of crystals
~~~
Structure and computed powder XRD pattern of NaNd2OsO6 (a structure optimized by DFT (PBE); λ = 1.5418 Å (Cu Kα)).
Neutral-atom scattering factors, no anomalous dispersion.

Atomic structure:
a b c (Å): 5.571 5.987 9.706
angles (deg): 90.00 123.99 90.00
Positions (direct):
Na1 0.000 0.000 0.000
Na2 0.000 0.500 0.500
Nd1 0.224 0.072 0.746
Nd2 0.224 0.428 0.246
Nd3 0.776 0.572 0.754
Nd4 0.776 0.928 0.254
Os1 0.500 0.000 0.500
Os2 0.500 0.500 0.000
O1 0.154 0.173 0.447
O2 0.154 0.327 0.947
O3 0.266 0.718 0.429
O4 0.266 0.782 0.929
O5 0.394 0.053 0.270
O6 0.394 0.447 0.770
O7 0.606 0.553 0.230
O8 0.606 0.947 0.730
O9 0.734 0.218 0.071
O10 0.734 0.282 0.571
O11 0.846 0.673 0.053
O12 0.846 0.827 0.553

The 8 most intense peaks (15 to 90 degrees two-theta), in order of falling intensity:
| 2θ (°) | d (Å) | Rel. int. |
| --- | --- | --- |
| 31.02 | 2.883 | 100.0 |
| 31.44 | 2.846 | 97.5 |
| 18.47 | 4.804 | 60.0 |
| 32.14 | 2.785 | 46.7 |
| 29.85 | 2.994 | 38.3 |
| 19.55 | 4.542 | 33.5 |
| 44.43 | 2.039 | 32.9 |
| 56.33 | 1.633 | 26.0 |

=====

Structure and computed powder XRD pattern of EuZrF6 (a structure optimized by DFT (PBE); λ = 1.5418 Å (Cu Kα)).
Neutral-atom scattering factors, no anomalous dispersion.

Atomic structure:
a b c (Å): 6.750 6.750 5.388
angles (deg): 90.00 90.00 110.63
Positions (direct):
Eu1 0.250 0.750 0.961
Eu2 0.750 0.250 0.039
Zr1 0.250 0.250 0.500
Zr2 0.750 0.750 0.500
F1 0.060 0.317 0.761
F2 0.076 0.924 0.658
F3 0.183 0.440 0.239
F4 0.317 0.060 0.239
F5 0.424 0.576 0.658
F6 0.440 0.183 0.761
F7 0.560 0.817 0.239
F8 0.576 0.424 0.342
F9 0.683 0.940 0.761
F10 0.817 0.560 0.761
F11 0.924 0.076 0.342
F12 0.940 0.683 0.239

The 8 most intense peaks (15 to 90 degrees two-theta), in order of falling intensity:
| 2θ (°) | d (Å) | Rel. int. |
| --- | --- | --- |
| 23.00 | 3.866 | 100.0 |
| 28.26 | 3.158 | 44.4 |
| 28.54 | 3.128 | 41.4 |
| 43.60 | 2.076 | 35.8 |
| 44.18 | 2.050 | 31.0 |
| 47.01 | 1.933 | 21.0 |
| 53.26 | 1.720 | 19.8 |
| 55.10 | 1.667 | 11.4 |

=====

Structure and computed powder XRD pattern of YInCu4 (a structure optimized by DFT (PBE); λ = 1.5418 Å (Cu Kα)).
Neutral-atom scattering factors, no anomalous dispersion.

Atomic structure:
a b c (Å): 5.121 5.121 5.121
angles (deg): 60.00 60.00 60.00
Positions (direct):
Y1 0.000 0.000 0.000
In1 0.750 0.750 0.750
Cu1 0.375 0.375 0.375
Cu2 0.375 0.375 0.874
Cu3 0.375 0.874 0.375
Cu4 0.874 0.375 0.375

The 8 most intense peaks (15 to 90 degrees two-theta), in order of falling intensity:
| 2θ (°) | d (Å) | Rel. int. |
| --- | --- | --- |
| 41.35 | 2.184 | 100.0 |
| 35.04 | 2.561 | 42.1 |
| 67.16 | 1.394 | 29.3 |
| 43.28 | 2.091 | 27.6 |
| 74.05 | 1.280 | 23.2 |
| 62.86 | 1.478 | 14.6 |
| 88.54 | 1.104 | 10.3 |
| 89.84 | 1.092 | 8.8 |

=====

Structure and computed powder XRD pattern of LiHo2O3 (a structure optimized by DFT (PBE); λ = 1.5418 Å (Cu Kα)).
Neutral-atom scattering factors, no anomalous dispersion.

Atomic structure:
a b c (Å): 3.346 3.346 7.869
~~~
Those who cross the border into Sudan must pay costly bribes to Sudanese security officers, often more than once. They also risk falling into the hands of human traffickers who lie in wait at the borders. Early in this dangerous adventure, Eritrean refugees who make it to Sudan risk getting scooped up in the frequent round-ups by Sudanese security forces looking for bribes. They see the vulnerable Eritreans as potentially lucrative prey. Even worse, there's no official body to advocate on the refugees' behalf. Some seasons, such as Ramadan, pose greater risks for the Eritrean refugees, with round-ups and bribes becoming more intense.
In 2016, the European Union began collaborating with Sudan in hopes of discouraging that migration route, offering $100 million in aid to the Sudanese government. But unfortunately, this provides an irresistible opportunity for Sudanese security forces to abuse refugees. For example, in February 2017, as some 65 refugees (mainly from Ethiopia and Eritrea) demanded improvements in their living conditions, they reportedly received 40 lashes and were fined U.S.$800. The EU's complicityin injecting money to such dictatorial regimes in hopes of curbing immigration also extends to Eritrea: in April 2016, it agreed to give the Eritrean government 200 million euros in aid.
In June 2016, a large group of Eritreans were rounded up by the Sudanese security forces—some of them were trying to cross into Libya—and sent back to Eritrea, the place from which they originally fled persecution. Some 422 Eritreans were returned, ending up in Eritrea's infamous military prison, Adi-abieto. Sudan's action was a clear violation of the 1951 Refugee Convention, which asserts that refugees "should not be returned to a country where they face threats to their life or freedom."
It is common knowledge among Eritreans that Eritrean security forces frequently enter territories of Sudan to arrest and forcibly repatriate Eritreans who fled persecution. That is why many Eritreans never feel safe in the Sudan and either they continue hiding or keep a low profile.
Indeed, most Eritreans consider Sudan a stopping point en route to some other destination, rather than an end destination in itself. The most common option for these hapless Eritrean refugees is the dangerous trek across the desert to Libya, and from there embarking on shaky boats across the Mediterranean, a voyage that results in the deaths of hundreds of Eritreans yearly.
During the hazardous, highly stressful wait in Libya before attempting to cross the Mediterranean, as revealed in a report by Doctors Without Borders, Eritreans are subjected to various types of abuse, including torture and rape at the hands of the human traffickers. The report adds that 411,000 Eritreans, of a total population of 5 million, lived as refugees outside the country as of 2015. Since then, the numbers have been steadily increasing with the worsening situation in Eritrea.
The overwhelming and seemingly endless Eritrean tragedies have desensitized many Eritreans. At some point, it reached a stage where tragedies are only worth discussing when they directly affect close family members, friends, and colleagues. For example in June 2014, a boat carrying 243 people, mostly Eritreans, disappeared in the Mediterranean Sea. Its fate was investigated in a 10-part open source report called the Ghost Boat, headed by journalist Eric Reidy. Yet it did not get proper attention, either inside Eritrea, or from concerned international organizations.
Until recently, another route for refugees was to cross the Sinai desert and end up either in Israel's detention center, Holot, or live as undocumented refugees, referred to by the Israeli government as "infiltrators." Without any legal status, around 30,000 Eritreans live in Israel, often becoming the targets of political rallies at election time. In the early 2000s, Sudanese traffickers kidnapped hundreds of Eritreans in Sudan on their way to Israel, selling them to Egyptian traffickers in Sinai who tortured them viciously in the hopes of getting ransom money from their families. But over the past few years the number of refugees entering Israel has radically decreased, as the Israelis have blocked the Egyptian border, with a "smart" electronic fence. In addition, as of 2015, Israel has started deporting—or as they put it "voluntarily resettling"—Eritrean and Sudanese asylum-seekers to Rwanda and Uganda, giving them one-way plane tickets and $3,500 in cash each.
The horrendous situation in Yemen is also leaving Eritrean refugees in dire straits. Although it has become increasingly difficult to know the number of Eritreans who are stranded in Yemen at the present, in 2015 they were estimated around 50,000. Yet Eritreans remain vulnerable without any international agency to advocate for them.
Over the last few years, Ethiopia has become yet another destination for Eritreans fleeing their homes. As the reported by the Overseas Development Institute, a UK-based think-tank organization, about 150,000 Eritrean refugees currently live in Ethiopia. With Ethiopia undergoing internal political turmoil, this poses an extraordinary threat to Eritreans. Even before the deteriorating political developments in Ethiopia, Eritreans in refugee camps were subjected to never-ending hassles and corruption. For example, when many Eritreans were presented with the opportunity of resettlement in the United States, Canada or Europe, a number of Ethiopians hijacked those opportunities through corruption. That left many Eritreans, who thought they had their ticket to a better life, in an increasingly dire situation. The absence of any public agency to advocate on their behalf conspired with an innately corrupt system to prolong their suffering.
Institutional harassment takes place in similar ways in other African states that are presumed to be relatively safe havens. Although an Intergovernmental Authority on Development (IGAD) free-movement deal has been signed between eight member states, allowing citizens of member countries to obtain "upon arrival" visas when traveling between the countries, this has been particularly difficult for Eritreans. Airport security officials in Kenya, Uganda, Sudan, and South Sudan have created their own systems where they routinely charge bribes of between $200 and $300 to enter and leave these countries. It seems that this usually applies only to Eritreans. The very fact that Eritreans cannot report to their embassies in these countries makes them vulnerable and easy prey of these corrupt systems. This widely goes unreported, but it is common knowledge among Eritreans who live in those countries. Those who attempt to resist paying the bribes routinely face delays and flight cancellations. While in Uganda the bribe is $200 to $300 to leave the country via airports, in Kenya it's even worse. The situation is extremely arbitrary, and depends on the mercy and/or level of corruption of the respective security officers. With terror attacks increasing, Kenyan police often harass and randomly arrest Eritreans and Somalis. Eritreans certainly do not have an agency to speak on their behalf despite the fact that many of them possess legal papers.
Semi-official harassment also extends to South Africa. Around 600 Eritreans were studying in South Africa when Eritrea's 2001 political crackdown occurred. Many did not return home. South Africa neither deports them nor grants full asylum status. Hence they have no other option but to pay a huge bribe every time they want to renew their resident permits. As the waiting period continues interminably, some have begun establishing small businesses, though many have been targeted by the surge of xenophobia across South Africa. Unlike other nations' embassies, not surprisingly, the Eritrean embassy in South Africa does not recognize these refugees from the homeland, and never advocates for them. The few who can afford to pay as much as $20,000 to smugglers can leave the country.
Knowing the weak links in any given system, some Eritreans have been known to collaborate with immigration officers and police officers in the various countries to establish pathways to freedom that depend on corruption. It has become a new normal in most African countries for law enforcement agencies to target Eritreans in particular, as they are well aware their plight.
Without a second option and facing deportation, many refugees from Eritrea are left having to pay a huge bribe. The utter silence of the international community about this tragic situation, including the total lack of any legal resource for these people, is the real scandal. It is high time that the international community and concerned organizations, such as the UNHCR, put pressure on neighboring states to respect the Eritrean refugees who are fleeing persecution. More importantly, in line with its findings, the UN has a responsibility to expose and pressure the European countries that are injecting money to sustain the dictatorial regime in Eritrea.